
Policymakers should target mothers' activity levels to boost child health

Active mothers have more active children, according to new research from UK academics.

........
(1)
Density functional theory data (PBE) for a geometry-optimized Tb12Sm6Al structure.

Properties
V ... 1831.3 Å³/cell

Cell lengths 11.8822, 11.8822, 14.9772 Å; angles 90.00, 90.00, 120.00 degrees
Space group R-3 (No. 148, hexagonal axes)
Inequivalent atoms, fractional coordinates:
Tb 0.0023 0.8298 0.3146 [18 per cell]
Tb 0.0469 0.1957 0.9153 [18 per cell]
Sm 0.0190 0.5918 0.1851 [18 per cell]
Al 0.0000 0.0000 0.5000 [3 per cell]

=====

(2)
Density functional theory data (PBE) for a geometry-optimized SrMgRu2 structure.

Properties
V ... 167.2 Å³/cell

Cell lengths 9.206, 3.024, 6.073 Å; angles 90.00, 98.39, 90.00 degrees
Space group C2/m (No. 12)
Inequivalent atoms, fractional coordinates:
Sr 0.000 0.000 0.000 [2 per cell]
Mg 0.000 0.500 0.500 [2 per cell]
Ru 0.240 0.000 0.665 [4 per cell]

=====

Number 1: total moment 0.0 μB/f.u., energy of formation from the pure elements 0.088 eV per atom, VASP energy -4.524 eV/atom. Number 2: total moment 0.7 μB/f.u., energy of formation from the pure elements 0.459 eV per atom, VASP energy -4.998 eV/atom.

=====

[1]
SeICl | PBE | optimized geometry

The structure belongs to space group C2/m (No. 12); the cell edges are 12.894, 3.994 and 8.488 Å and the angles 90.00°, 90.90° and 90.00°. The inequivalent atoms are Se at (0.052, 0.000, 0.362), I at (0.190, 0.500, 0.288) and Cl at (0.159, 0.500, 0.780).

Its total magnetization is 0.0000 μB per atom. Its uncorrected formation energy is 11.4 kJ per mole of atoms. The total energy comes out at -2.18 eV per atom. Its energy above the most stable polymorph in this dataset is 0.198 eV/atom. As for the theoretical density: 3.67 g/cm³.

[2]
Re2TcPt | PBE | optimized geometry

The structure belongs to space group P4/mmm (No. 123); the cell edges are 3.305, 3.305 and 5.579 Å and the angles 90.00°, 90.00° and 90.00°. The inequivalent atoms are Re at (0.000, 0.000, 0.240), Tc at (0.500, 0.500, 0.000) and Pt at (0.500, 0.500, 0.500).

Its formation energy from the elements is 253.9 meV/atom. Its total magnetization is 0.0000 μB per atom. The total energy comes out at -10.07 eV per atom. Its energy above the most stable polymorph in this dataset is 0.339 eV/atom. As for the theoretical density: 18.13 g/cm³.

The lowest theoretical density belongs to which entry? SeICl

Which of these has the lowest theoretical density? SeICl

The lowest theoretical density belongs to which entry? SeICl

Which of these has the highest theoretical density? Re2TcPt

=====

No. 1
Below is a relaxed GdErPbN crystal, with properties calculated at the PBE level.

```
8
Lattice="3.5461 0.0000 0.0000 -1.7730 3.0710 0.0000 0.0000 0.0000 15.6569" Properties=species:S:1:pos:R:3 pbc="T T T"
Gd 0.0000 0.0000 2.6407
Gd 0.0000 0.0000 13.0162
Er 1.7730 1.0237 5.2485
Er 1.7730 1.0237 10.4084
Pb 0.0000 0.0000 7.8285
Pb 1.7730 1.0237 0.0000
N 0.0000 2.0473 4.0301
N 0.0000 2.0473 11.6268
```

Summary:
crystal system = hexagonal
relative energy among the computed polymorphs = 0.0 kJ/mol of atoms
........

The study, led by researchers from Cambridge and Southampton universities, analysed more than 500 mothers and their four-year-olds, and established a direct link between physical activity levels in mothers and their children.

The study concluded that policies to improve children’s health should be aimed at mothers, as children are not ‘naturally active’, and are reliant on parents to develop good exercise habits in early life.

Misplaced calculated crystals >
'''
1.
Na3In2Cu3F12 (GGA-PBE, optimized geometry); DFT total energy = -4.17 eV/atom; space group = Ia-3d (230)
1.0
-6.2835 6.2835 6.2835
6.2835 -6.2835 6.2835
6.2835 6.2835 -6.2835
Na In Cu F
12 8 12 48
direct
0.1250 0.2500 0.3750
0.1250 0.3750 0.7500
0.2500 0.3750 0.1250
0.2500 0.8750 0.6250
0.3750 0.1250 0.2500
0.3750 0.7500 0.1250
0.6250 0.2500 0.8750
0.6250 0.8750 0.7500
0.7500 0.1250 0.3750
0.7500 0.6250 0.8750
0.8750 0.6250 0.2500
0.8750 0.7500 0.6250
0.0000 0.0000 0.0000
0.0000 0.0000 0.5000
0.0000 0.5000 0.0000
0.0000 0.5000 0.5000
0.5000 0.0000 0.0000
0.5000 0.0000 0.5000
0.5000 0.5000 0.0000
0.5000 0.5000 0.5000
0.1250 0.7500 0.8750
0.1250 0.8750 0.2500
0.2500 0.1250 0.8750
0.2500 0.6250 0.3750
0.3750 0.2500 0.6250
0.3750 0.6250 0.7500
0.6250 0.3750 0.2500
0.6250 0.7500 0.3750
0.7500 0.3750 0.6250
0.7500 0.8750 0.1250
0.8750 0.1250 0.7500
0.8750 0.2500 0.1250
0.0447 0.2184 0.1223
0.0447 0.3263 0.9224
0.0776 0.6223 0.4039
0.0776 0.9553 0.6737
0.0961 0.7184 0.6737
0.0961 0.8777 0.4224
0.1223 0.0447 0.2184
0.1223 0.5776 0.9039
0.1737 0.2184 0.5961
0.1737 0.4553 0.5776
0.2184 0.1223 0.0447
0.2184 0.5961 0.1737
0.2816 0.3263 0.9039
0.2816 0.4553 0.3777
0.3263 0.9039 0.2816
0.3263 0.9224 0.0447
0.3777 0.2816 0.4553
0.3777 0.5961 0.9224
0.4039 0.0776 0.6223
0.4039 0.8263 0.7816
0.4224 0.0961 0.8777
0.4224 0.8263 0.5447
0.4553 0.3777 0.2816
0.4553 0.5776 0.1737
0.5447 0.4224 0.8263
0.5447 0.6223 0.7184
0.5776 0.1737 0.4553
0.5776 0.9039 0.1223
0.5961 0.1737 0.2184
0.5961 0.9224 0.3777
0.6223 0.4039 0.0776
0.6223 0.7184 0.5447
0.6737 0.0776 0.9553
0.6737 0.0961 0.7184
0.7184 0.5447 0.6223
0.7184 0.6737 0.0961
0.7816 0.4039 0.8263
0.7816 0.8777 0.9553
0.8263 0.5447 0.4224
0.8263 0.7816 0.4039
0.8777 0.4224 0.0961
0.8777 0.9553 0.7816
0.9039 0.1223 0.5776
0.9039 0.2816 0.3263
0.9224 0.0447 0.3263
0.9224 0.3777 0.5961
0.9553 0.6737 0.0776
0.9553 0.7816 0.8777



2.
Ho3Ge4N (GGA-PBE, optimized geometry); DFT total energy = -4.79 eV/atom; space group = Pm-3m (221)
1.0
5.7362 0.0000 0.0000
0.0000 5.7362 0.0000
0.0000 0.0000 5.7362
Ho Ge N
3 4 1
direct
0.0000 0.0000 0.5000
0.0000 0.5000 0.0000
0.5000 0.0000 0.0000
0.0000 0.0000 0.0000
0.0000 0.5000 0.5000
0.5000 0.0000 0.5000
0.5000 0.5000 0.0000
0.5000 0.5000 0.5000



3.
NdAgI4 (GGA-PBE, optimized geometry); DFT total energy = -3.29 eV/atom; space group = P2/m (10)
1.0
7.6190 0.0000 0.0000
0.0000 4.4611 0.0000
-2.8113 0.0000 7.4352
Nd Ag I
1 1 4
direct
0.0000 0.0000 0.0000
0.5000 0.5000 0.0000
0.2442 0.5000 0.2570
0.2603 0.0000 0.7737
0.7397 0.0000 0.2263
0.7558 0.5000 0.7430



4.
ZrZnAgPd (GGA-PBE, optimized geometry); formation energy from the elements = -346 meV per atom; space group = F-43m (216)
1.0
0.0000 3.2682 3.2682
3.2682 0.0000 3.2682
3.2682 3.2682 0.0000
Zr Zn Ag Pd
1 1 1 1
direct
0.0000 0.0000 0.0000
0.5000 0.5000 0.5000
0.2500 0.2500 0.2500
0.7500 0.7500 0.7500

----------

[1]
A relaxed LiCe2BeAu6 crystal, computed with PBE-GGA.
'''
End of the calculated crystals >

The research, published in American journal Pediatrics, also showed that just 53 per cent of mothers took part in 30 minutes of physical activity at least once a week.

The Government recommends 150 minutes a week of at least ‘moderate intensity physical activity, such as brisk walking.

Researchers assessed their subjects using lightweight activity monitors, which mothers and children wore for a week, including when sleeping and taking part in water-based activities.

The monitors feature a combined accelerometer and heart rate monitor, allowing for a higher degree of accuracy than with self-assessment reports, which are commonly used in similar research.

The research was led by Kathryn Hesketh, now a research associate at the Institute of Child Health at University College London.

[What comes next are crystal structures, not part of the article]
<<<
[1]
DFT (GGA-PBE) results for an optimized crystal structure of CaY2Ni2.

Cell: 4.9905 4.9905 6.3536 Å, 66.88 66.88 90.00°
Last column: nearest neighbours and their distance in Å.
Element x y z (fractional)
1 Y 0.3353 0.3353 0.3294  4 Ni 2.65
2 Y 0.6647 0.6647 0.6706  4 Ni 2.65
3 Ni 0.7500 0.2500 0.5000  4 Y 2.65
4 Ni 0.2500 0.7500 0.5000  4 Y 2.65
5 Ca 0.0000 0.0000 0.0000  10 Y 3.54-3.93, 8 Ni 3.63

Computed properties:
ΔE_f ... 0.050 eV/atom
Total DFT energy (no corrections) ... -5.25 eV/atom
Crystal system ... tetragonal
ΔE to the lowest computed polymorph ... 295 meV/atom
Space group ... I4/mmm, No. 139

=====

[2]
DFT (GGA-PBE) results for an optimized crystal structure of TmMgTiZn.

Cell: 4.8621 4.8621 4.8621 Å, 60.00 60.00 60.00°
Last column: nearest neighbours and their distance in Å.
Element x y z (fractional)
1 Zn 0.0000 0.0000 0.0000  4 Ti 2.98, 4 Tm 2.98
2 Tm 0.7500 0.7500 0.7500  4 Mg 2.98, 4 Zn 2.98
3 Mg 0.5000 0.5000 0.5000  4 Tm 2.98, 4 Ti 2.98
4 Ti 0.2500 0.2500 0.2500  4 Mg 2.98, 4 Zn 2.98

Computed properties:
ΔE_f ... 0.025 eV/atom
Total DFT energy (no corrections) ... -3.78 eV/atom
Crystal system ... cubic
Space group ... F-43m, No. 216

=====

[3]
DFT (GGA-PBE) results for an optimized crystal structure of ErVIrRh.

Cell: 4.5724 4.5724 4.5724 Å, 60.00 60.00 60.00°
Last column: nearest neighbours and their distance in Å.
Element x y z (fractional)
1 V 0.2500 0.2500 0.2500  4 Rh 2.80, 4 Ir 2.80
2 Ir 0.0000 0.0000 0.0000  4 Er 2.80, 4 V 2.80
3 Rh 0.5000 0.5000 0.5000  4 Er 2.80, 4 V 2.80
4 Er 0.7500 0.7500 0.7500  4 Rh 2.80, 4 Ir 2.80

Computed properties:
ΔE_f ... -0.411 eV/atom
Total DFT energy (no corrections) ... -7.88 eV/atom
Crystal system ... cubic
Space group ... F-43m, No. 216

=====

[4]
DFT (GGA-PBE) results for an optimized crystal structure of TmCd8Hg4.

Cell: 3.3453 4.6561 20.5693 Å, 90.00 90.00 90.00°
Last column: nearest neighbours and their distance in Å.
Element x y z (fractional)
1 Tm 0.0000 0.0000 0.3379  5 Cd 3.14-3.26, 4 Hg 3.20, 2 Tm 3.35
2 Cd 0.0000 0.0000 0.4903  2 Hg 2.97, 1 Tm 3.14
3 Cd 0.0000 0.5000 0.8756  4 Hg 3.06, 4 Cd 3.07-3.35
4 Cd 0.5000 0.5000 0.0280  6 Hg 3.06-3.11, 2 Cd 3.35
5 Cd 0.5000 0.0000 0.6340  8 Cd 3.05-3.40, 4 Hg 3.07
6 Cd 0.0000 0.5000 0.2322  4 Cd 2.93, 2 Tm 3.18
7 Cd 0.0000 0.0000 0.7779  8 Cd 3.03-3.35
8 Cd 0.5000 0.0000 0.2018  4 Cd 2.93, 2 Hg 3.00, 2 Tm 3.26
9 Cd 0.5000 0.5000 0.7301  8 Cd 3.03-3.35
10 Hg 0.0000 0.0000 0.0807  6 Cd 3.00-3.06, 2 Hg 3.35
11 Hg 0.0000 0.5000 0.5801  6 Cd 2.97-3.07
12 Hg 0.5000 0.5000 0.4067  4 Tm 3.20, 4 Cd 3.34, 2 Hg 3.35
13 Hg 0.5000 0.0000 0.9276  6 Cd 3.06-3.11, 2 Hg 3.35

Computed properties:
ΔE_f ... -0.008 eV/atom
Total DFT energy (no corrections) ... -1.01 eV/atom
Crystal system ... orthorhombic
Space group ... Pmm2, No. 25

* * * * *

1.
A geometry-optimized CdSbSe2 structure, computed with PBE.

Cell: 8.951 8.951 8.951 Å, 26.92 26.92 26.92°
Fractional coordinates of all 4 atoms:
Sb: 0.500 0.500 0.500
Se: 0.897 0.897 0.897
>>>
[So much for the crystal structures]

She said, ‘We saw a direct, positive association between physical activity in children and their mothers – the more activity a mother did, the more active her child. Although it is not possible to tell from this study whether active children were making their mothers run around after them, it is likely that activity in one of the pair influences activity in the other.’ 

According to the study, for every minute of moderate-to-vigorous activity a mother engaged in, her child was more likely to engage in 10 per cent more of the same level of activity.

Ms Hesketh added, ‘Such small minute-by-minute differences may therefore represent a non-trivial amount of activity over the course of a week, month and year.’

Factors which influenced maternal activity levels included the level of education the mother had received, whether the child had siblings, and whether the father was present at home.

The study’s authors called for more to be done to promote the importance of high activity levels in both mothers and children.

‘There are many competing priorities for new parents and making time to be active may not always be top of the list,’ Ms Hesketh said. ‘However, small increases in maternal activity levels may lead to benefits for mothers and children. And if activity in mothers and children can be encouraged or incorporated into daily activities, so that more time is spent moving, activity levels are likely to increase in both. In return, this is likely to have long-term health benefits for both.’